• Brief:
Now give back only the lines further below with the word "Li4HoCd15" in them.

• Listing:
/*
(1)
Entry from Alexandria via LeMat-Bulk: a relaxed structure of Pm2Pu2Sn7 (PBE).

Geometry as POSCAR:
```
Pm2Pu2Sn7
1.0
4.331 -5.418 0.000
4.331 5.418 0.000
0.000 0.000 7.346
Pm Pu Sn
2 2 7
Direct
0.209 0.791 0.000
0.791 0.209 0.000
0.335 0.335 0.500
0.665 0.665 0.500
0.000 0.000 0.307
0.000 0.000 0.693
0.000 0.500 0.302
0.000 0.500 0.698
0.500 0.000 0.302
0.500 0.000 0.698
0.500 0.500 0.000
```

Computed properties:
Space group   Cmmm, No. 65
Formation energy   -0.096 eV per atom
Fermi-level density of states   2.0927 states/eV/atom


(2)
Entry from Alexandria via LeMat-Bulk: a relaxed structure of Be2NiTe (PBE).

Geometry as POSCAR:
```
Be2NiTe
1.0
-1.863 1.863 3.812
1.863 -1.863 3.812
1.863 1.863 -3.812
Be Ni Te
2 1 1
Direct
0.250 0.750 0.500
0.750 0.250 0.500
0.000 0.000 0.000
0.500 0.500 0.000
```

Computed properties:
Space group   I4/mmm, No. 139
Raw formation energy   381 meV/atom
Fermi-level density of states   0.2927 states/eV/atom


(3)
Entry from Alexandria via LeMat-Bulk: a relaxed structure of Pr2YCl (PBE).

Geometry as POSCAR:
```
Pr2YCl
1.0
1.851 1.069 10.464
-1.851 1.069 10.464
0.000 -2.137 10.464
Pr Y Cl
2 1 1
Direct
0.240 0.240 0.240
0.760 0.760 0.760
0.000 0.000 0.000
0.500 0.500 0.500
```

Computed properties:
Space group   R-3m, No. 166
Raw formation energy   -669 meV/atom
Fermi-level density of states   1.0642 states/eV/atom


(4)
Entry from Alexandria via LeMat-Bulk: a relaxed structure of SrLiInBi (PBE).

Geometry as POSCAR:
```
SrLiInBi
1.0
0.000 3.912 3.912
3.912 0.000 3.912
3.912 3.912 0.000
Sr Li In Bi
1 1 1 1
Direct
0.000 0.000 0.000
0.500 0.500 0.500
0.250 0.250 0.250
0.750 0.750 0.750
```

Computed properties:
Space group   F-43m, No. 216
Formation energy   -0.396 eV per atom
Fermi-level density of states   0.9695 states/eV/atom


(5)
Entry from Alexandria via LeMat-Bulk: a relaxed structure of YAg2Au (PBE).

Geometry as POSCAR:
```
YAg2Au
1.0
-2.165 2.165 4.355
2.165 -2.165 4.355
2.165 2.165 -4.355
Y Ag Au
1 2 1
Direct
0.000 0.000 0.000
0.250 0.750 0.500
0.750 0.250 0.500
0.500 0.500 0.000
```

Computed properties:
Offset from the most stable computed form   0.029 eV per atom
Space group   I4/mmm, No. 139
Formation energy   -0.386 eV per atom
Fermi-level density of states   0.5269 states/eV/atom


(6)
Entry from Alexandria via LeMat-Bulk: a relaxed structure of La2Si4Ir5 (PBE).

Geometry as POSCAR:
```
La2Si4Ir5
1.0
0.000 4.942 7.068
2.843 0.000 7.068
2.843 4.942 0.000
La Si Ir
2 4 5
Direct
0.130 0.130 0.870
0.870 0.870 0.130
0.212 0.528 0.472
0.472 0.788 0.212
0.528 0.212 0.788
0.788 0.472 0.528
0.000 0.000 0.500
0.250 0.250 0.250
0.500 0.500 0.000
0.500 0.500 0.500
0.750 0.750 0.750
```

Computed properties:
Space group   Fmmm, No. 69
Raw formation energy   -915 meV/atom
Fermi-level density of states   0.3819 states/eV/atom


(7)
Entry from Alexandria via LeMat-Bulk: a relaxed structure of Li4HoCd15 (PBE).

Geometry as POSCAR:
```
Li4HoCd15
1.0
4.420 0.000 0.000
0.000 4.420 0.000
0.000 0.000 21.925
Li Ho Cd
4 1 15
Direct
0.000 0.000 0.096
0.000 0.000 0.294
0.000 0.000 0.706
0.000 0.000 0.904
0.000 0.000 0.500
0.000 0.500 0.000
0.000 0.500 0.195
0.000 0.500 0.391
0.000 0.500 0.609
0.000 0.500 0.805
0.500 0.000 0.000
0.500 0.000 0.195
0.500 0.000 0.391
0.500 0.000 0.609
0.500 0.000 0.805
0.500 0.500 0.098
0.500 0.500 0.292
0.500 0.500 0.500
0.500 0.500 0.708
0.500 0.500 0.902
```

Computed properties:
Space group   P4/mmm, No. 123
Formation energy   -0.181 eV per atom
Fermi-level density of states   0.2542 states/eV/atom


(8)
Entry from Alexandria via LeMat-Bulk: a relaxed structure of Tb4OsRh (PBE).

Geometry as POSCAR:
```
Tb4OsRh
1.0
4.498 -6.508 0.000
4.498 6.508 0.000
-3.517 0.000 5.234
Tb Os Rh
8 2 2
Direct
0.046 0.696 0.903
0.239 0.367 0.734
0.304 0.954 0.597
0.367 0.239 0.234
0.633 0.761 0.766
0.696 0.046 0.403
0.761 0.633 0.266
0.954 0.304 0.097
0.001 0.999 0.250
0.999 0.001 0.750
0.364 0.636 0.250
0.636 0.364 0.750
```

Computed properties:
*/

• Worked solution:
Entry from Alexandria via LeMat-Bulk: a relaxed structure of Li4HoCd15 (PBE).
Li4HoCd15